March 18, 2010

Always a Sayonara

"People come and go so quickly" - Dorothy Gale

Living in an "ex-pat" community, we have a high turnover rate.  It is kind of like living in a university town with people coming and going.  This time we had to say "sayonara" to our favorite Chilean,
Jacquie Pinto Carvallo. 


I love making friends with people from all over the world:
Divya Krishnan (India), Anna Lilljebjorn (Sweden), Graziella Noto La Diega (Italy), Me (USA)
Angelika Zentner (Germany), Jacquie Pinto (Chile), Silvia Baucells (Spain), and her cousin

The evening started with dinner and then we moved onto club dancing in Roppongi... I had not been "clubbing" in years and it took awhile to not feel so awkward.  I think the most awkward part were the men who surrounded us on bar stools starring at us for entertainment.  Blah.

Sayonara dear Jacquie!

Shortly afterwards I attended another Sayonara party for my dear friend,
Veryan Richards
More interesting friends from around the world:  Me (USA), Aviva Duncan (Austrailia), Claire Dimond (Scotland), Hiromi Imamiya Soo (Japan), Fiona Watson (UK), Rebecca Busby (UK), Jun Doherty (Japan), Kylie Hunn (New Zealand), Bumble Elliot (UK), Veryan Richards (UK), Sophie Clappin (Austrailia) and her Mom.

Veryan's daughter Morwenna attended school with Jonas so she and I saw each other every day.  Morwenna is a very intelligent girl.  She was very keen at picking up American dialects and phrases so I loved to ask her questions about Americans.  During one of our last conversations I said "Morwenna, tell me something about Americans".  (Keep in mind that she is only 6 years old).

She replied, "Well, when you ask an American how are you they will reply, 'Guuuud'.  But when you ask an English person How are you they will reply, 'I'm fine thank you'.  Too true!  I prefer the English response and am working on changing my American habit :).

Attached: data records.
____________
Computed, not measured: a 2-piece molecular cluster, C2H7NS overall at a distorted geometry, with the ωB97M-V functional and the def2-TZVPD basis.

Each atom is followed by the atoms it is bonded to, with distances in Å.
Positions of all 11 atoms, in Å:
1 S -0.8977 -1.2787 2.8081  H2 1.352
2 H -1.6935 -2.3561 2.9890  S1 1.352
3 C 0.5137 0.9052 -0.4328  C4 1.309, N5 1.486, H6 1.076
4 C -0.4846 1.3524 -1.1515  C3 1.309, H7 1.083, H8 1.084
5 N 0.7425 -0.5620 -0.3822  C3 1.486, H9 1.042, H10 1.015, H11 1.021
6 H 1.3392 1.4617 -0.0253  C3 1.076
7 H -0.6760 2.4152 -1.2360  C4 1.083
8 H -1.2899 0.7895 -1.6102  C4 1.084
9 H 0.3267 -0.8914 0.5150  N5 1.042
10 H 0.3964 -1.0199 -1.2195  N5 1.015
11 H 1.7233 -0.8158 -0.2545  N5 1.021

Values from the calculation:
* total charge: 0
* Kohn-Sham gap: 5.887 eV
* lowest unoccupied orbital energy: -0.35 eV

So, what does the Löwdin scheme give us? The charges, in e, come out as: number 1, S, carries -0.248; number 2, H, carries -0.438; number 3, C, carries -0.140; number 4, C, carries 0.056; number 5, N, carries 0.166; number 6, H, carries 0.119; number 7, H, carries 0.077; number 8, H, carries 0.084; number 9, H, carries 0.006; number 10, H, carries 0.157; number 11, H, carries 0.160

---

Computed, not measured: a 2-piece molecular cluster, C2H7NS overall at a distorted geometry, with the ωB97M-V functional and the def2-TZVPD basis.

Each atom is followed by the atoms it is bonded to, with distances in Å.
Positions of all 11 atoms, in Å:
1 S 0.4513 1.7125 -1.5107  H2 1.339, H11 1.330
2 H 1.5648 1.3680 -2.1708  S1 1.339
3 C -0.5607 -1.2781 0.7322  C4 1.399, N5 1.309, H6 1.085
4 C 0.2070 -2.3344 1.2355  C3 1.399, H7 1.083, H8 1.086
5 N -0.6839 -0.1242 1.3377  C3 1.309, H9 1.019, H10 1.018
6 H -1.0323 -1.3398 -0.2435  C3 1.085
7 H -0.0577 -3.3320 0.9061  C4 1.083
8 H 0.6929 -2.2566 2.2041  C4 1.086
9 H -0.3942 -0.0734 2.3133  N5 1.019
10 H -1.5153 0.4331 1.1501  N5 1.018
11 H 0.4486 0.5373 -0.8873  S1 1.330

Values from the calculation:
* multiplicity: 2
* total charge: +1
* Kohn-Sham gap (alpha / beta): 8.503 / 5.162 eV
* lowest unoccupied orbital energy (alpha / beta): -4.66 / -7.99 eV

So, what does the Löwdin scheme give us? The charges, in e, come out as: number 1, S, carries 0.524; number 2, H, carries -0.191; number 3, C, carries -0.142; number 4, C, carries 0.217; number 5, N, carries 0.214; number 6, H, carries 0.149; number 7, H, carries 0.104; number 8, H, carries 0.104; number 9, H, carries 0.159; number 10, H, carries 0.162; number 11, H, carries -0.300

---

Values of energy relative to the best compared isomer or geometry (same formula, charge and spin), in order: 62.6; 10.3, all in kcal per mole.

----------

No. 1
____________

We ate at the very sheik and famous restaurant, Nobu.
Delicious bento lunch!

Veryan, me, and Aviva (the best storyteller ever... absolutely hilarious)

I will miss Veryan's friendship terribly.  She is intelligent, beautiful, funny, and always has something interesting to talk about. 
Sayonara  dear Veryan!

Quantum chemistry results, kept here for reference:
~~~
# 1
Molecular formula: F2H4N2P
Method: DFT, ωB97M-V with the def2-TZVPD basis set

Geometry (Å):
N 0.187509 0.065953 1.478670
H -0.293524 -0.529952 2.064154
N 0.561787 -0.117728 -1.363278
P -0.284062 0.053214 -0.026979
H -0.099789 -0.232273 -2.152562
F -1.206942 1.458147 -0.288982
H 1.105664 0.201541 1.951522
F -1.449206 -0.947191 -0.059347
H 1.478563 0.048289 -1.603198

Cartesian forces, eV/Å:
3.178 1.005 -0.266
-1.897 -1.658 1.409
-3.160 -0.832 0.581
-3.830 3.686 -1.112
0.739 0.148 0.262
2.493 -3.525 0.758
-0.666 0.466 -1.259
0.676 0.264 -0.100
2.467 0.445 -0.273

Values from the calculation:
E_LUMO ... -4.212 eV
Electronic energy ... -652.8128 a.u.
2S+1 ... 1
Gap between HOMO and LUMO ... 13.2 eV
Charge ... +1
SMILES string ... NP(=[NH2+])(F)F
E_HOMO ... -17.45 eV
Relative energy (zero: lowest compared OMol25 entry of this formula, charge and spin) ... 57.2 kJ/mol


# 2
Molecular formula: C4H5N3O
Method: DFT, ωB97M-V with the def2-TZVPD basis set

Geometry (Å):
H 2.116821 2.110887 -0.081860
H -3.384933 -0.840928 0.261343
H 3.040014 -1.975033 0.210714
N 2.924529 0.307971 0.189248
O -1.445341 -0.582672 0.028206
C 0.717182 0.262078 -0.295180
N 1.087513 -1.141152 -0.260084
H -2.823379 0.742039 0.973903
H -3.265801 0.498733 -0.811559
C -2.737561 -0.003061 0.095252
C 2.360629 -1.070186 -0.014388
C 1.923316 1.093824 -0.016136
N -0.512992 0.597504 -0.279461

Cartesian forces, eV/Å:
-0.407 1.855 0.188
-0.276 -0.573 0.533
-1.217 1.658 -0.704
-0.938 -1.222 -0.382
1.828 3.127 -1.831
-1.317 -2.048 0.389
2.319 1.263 0.334
0.205 -1.194 -1.325
1.852 -0.669 0.936
-1.489 1.754 0.477
0.016 -0.107 1.082
0.689 -2.750 -0.877
-1.266 -1.095 1.180

Values from the calculation:
E_LUMO ... -1.131 eV
Electronic energy ... -394.7860 a.u.
2S+1 ... 1
Gap between HOMO and LUMO ... 9.1 eV
SMILES string ... CO/N=C1/C=NC=N1
E_HOMO ... -10.20 eV
Relative energy (zero: lowest compared OMol25 entry of this formula, charge and spin) ... 476.8 kJ/mol


# 3
Molecular formula: C15H31ClI2NP2Sn
Method: DFT, ωB97M-V with the def2-TZVPD basis set

Geometry (Å):
H 1.705736 2.482842 0.615855
H -1.930264 1.916342 -3.699245
H 3.526836 -0.328558 0.392755
H 4.606936 1.659742 -3.023445
H -3.041564 -2.910958 1.458655
H 0.102136 -2.424258 1.813455
P -1.846464 0.448242 -1.801845
I 0.525636 3.189442 -1.511445
H -3.210964 -3.287158 3.217655
C 3.584336 -0.990658 -2.665245
I 0.525636 -2.268958 -1.328845
H 4.637836 -0.808358 -2.901445
C 1.277536 1.751742 1.248455
H -2.464664 1.426442 0.317855
H -1.232464 -2.071358 3.651455
C -2.481864 -3.055258 2.409955
H -1.809264 -3.933358 2.300155
H 2.966936 1.934742 -3.697345
H -3.194964 -0.920458 3.953955
C -2.513664 1.836042 -2.778545
C 1.560436 2.016242 2.578455
H -3.830264 0.511042 -0.380845
P 2.897936 0.461742 -1.802645
H -2.416064 2.767842 -2.219745
H 0.233736 -0.650258 4.013155
H -1.063264 -1.735658 0.706855
H -2.425564 -1.894858 -2.039545
C 0.126136 -0.296858 1.843755
C -2.636264 -0.727858 3.011655
H -3.575564 -0.827858 -2.910545
~~~


Anonymous said...

Oh that is so sad to say so many goodbyes! I am sorry... :( How wonderful that you could have crossed paths, if even for a short time! Hugs... Love, Mom

Kristine Van Buskirk said...

Molecular data that have nothing to do with the text:
'''
1.
Density functional theory data (ωB97M-V/def2-TZVPD) for a structure of composition CuF4FePb.

XYZ file:
```
7
Properties=species:S:1:pos:R:3
Cu -0.3466 1.4934 2.2941
Pb -1.6100 -2.4138 0.4416
Fe -0.0882 1.4730 -1.1500
F -0.6858 0.1857 0.1457
F 0.8678 -2.0046 1.2882
F 0.0454 -0.0327 -2.4496
F 1.8174 1.2990 -0.5700
```

Properties
Net charge: +2
Expectation value of S²: 8.7638
E_LUMO (alpha / beta) (eV): -10.69 / -11.22
E_tot (a.u.): -3495.6515
Orbital gap (alpha / beta) (eV): 7.529 / 6.987
Energy relative to the best compared isomer or geometry (same formula, charge and spin) (kJ/mol): 0.00
E_HOMO (alpha / beta) (eV): -18.22 / -18.21
Max |F| (hartree/bohr): 0.14055
2S+1: 6
M (g mol⁻¹): 402.6

---

2.
Density functional theory data (ωB97M-V/def2-TZVPD) for a structure of composition CuH12O6.

XYZ file:
```
19
Properties=species:S:1:pos:R:3
Cu 0.0610 0.0136 -0.0163
O -1.6247 1.2454 -0.6425
H -2.3827 0.8317 -1.1033
H -1.8068 2.1654 -0.4612
O -0.4040 0.8067 1.9214
H -0.2658 1.7092 2.1660
H -1.0311 0.3805 2.5242
O -1.1698 -1.6611 0.6025
H -1.0450 -2.3003 1.2300
H -2.0965 -1.4530 0.6851
O 0.3538 -1.1861 -1.8318
H 1.0831 -1.7922 -1.9247
H 0.1728 -0.9890 -2.7377
O 1.2510 1.3907 -0.9678
H 0.9809 2.1869 -1.5183
H 2.0258 1.0614 -1.3914
O 1.8409 -0.7182 0.7755
H 2.1440 -0.1006 1.4661
H 1.9128 -1.5908 1.2242
```

Properties
Net charge: +2
Expectation value of S²: 0.7511
E_LUMO (alpha / beta) (eV): -7.22 / -10.35
E_tot (a.u.): -2098.5088
Orbital gap (alpha / beta) (eV): 12.842 / 9.544
Energy relative to the best compared isomer or geometry (same formula, charge and spin) (kJ/mol): 21.19
E_HOMO (alpha / beta) (eV): -20.07 / -19.90
Max |F| (hartree/bohr): 0.07816
2S+1: 2
M (g mol⁻¹): 171.6

---

3.
Density functional theory data (ωB97M-V/def2-TZVPD) for a structure of composition CuH14O7.

XYZ file:
```
22
Properties=species:S:1:pos:R:3
Cu -0.0268 0.1583 0.7220
O 3.7924 0.6702 2.2500
H 4.1405 0.9924 3.0814
H 4.4801 0.0998 1.9067
O -2.1568 -0.4221 3.7049
H -2.7545 0.0851 4.2541
H -2.5734 -1.2802 3.6258
O 1.9028 -3.3348 0.4869
H 1.9252 -3.9253 -0.2662
H 2.7602 -3.4393 0.8994
O 2.5832 0.5696 -2.1564
H 3.3191 0.2711 -1.6221
H 2.8180 1.4619 -2.4113
O -1.1868 -0.5197 -4.4118
H -0.4055 -0.1629 -3.9893
H -1.7401 -0.8103 -3.6869
O -3.8354 -0.9723 -1.1915
H -4.1484 -0.0865 -1.0077
H -4.5837 -1.5364 -0.9967
O -1.2244 3.7518 0.3803
H -0.9280 4.6540 0.2603
H -2.1576 3.7755 0.1683
```

Properties
Net charge: +1
E_LUMO (eV): -6.19
E_tot (a.u.): -2175.2195
Orbital gap (eV): 7.387
Energy relative to the best compared isomer or geometry (same formula, charge and spin) (kJ/mol): 335.00
E_HOMO (eV): -13.57
Max |F| (hartree/bohr): 0.01102
M (g mol⁻¹): 189.7

---

4.
Density functional theory data (ωB97M-V/def2-TZVPD) for a structure of composition CuH14O7.

XYZ file:
```
22
Properties=species:S:1:pos:R:3
Cu 0.0189 -0.4612 0.1401
O 0.2516 2.9628 -1.2007
H 1.1738 2.7096 -1.2412
H -0.1935 2.1922 -0.8482
O 0.8085 -0.9608 2.3186
H 1.2622 -1.8035 2.3022
H 1.4542 -0.3473 2.6692
'''

Oh the places you'll go and the people you'll meet! So awesome! You need to keep these friendships, so you can have a place to stay when you can travel the world! :) I would love to go clubbing again. Not sure if I'd know how. ha ha